• Data:
-- begin --
# Na3ZrScSiP2O12
Theoretical powder X-ray diffraction pattern, Cu Kα (weighted mean of Kα1 and Kα2). Input: the GGA-PBE geometry in the Materials Project.
Lines closer than 0.1° are merged.

Most intense lines, 2θ from 15° to 90°, sorted by position:
19.41 deg, 4.573 Å, I = 100
22.78 deg, 3.903 Å, I = 41
22.92 deg, 3.880 Å, I = 27
27.69 deg, 3.222 Å, I = 25
30.82 deg, 2.901 Å, I = 40
30.95 deg, 2.889 Å, I = 41
31.11 deg, 2.875 Å, I = 34
34.01 deg, 2.636 Å, I = 66

Atomic structure:
a = 9.1292 Å, b = 9.1292 Å, c = 9.0859 Å
α = 119.62°, β = 119.62°, γ = 60.08°
Element x y z (fractional)
1 Na 0.0682 0.9318 0.5000
2 Na 0.2133 0.4248 0.9708
3 Na 0.3432 0.7856 0.2023
4 Na 0.4248 0.2133 0.4708
5 Na 0.7856 0.3432 0.7023
6 Na 0.9318 0.0682 0.0000
7 Zr 0.4668 0.9516 0.6495
8 Zr 0.9516 0.4668 0.1495
9 Sc 0.1751 0.6623 0.7705
10 Sc 0.6623 0.1751 0.2705
11 Si 0.3553 0.5618 0.4500
12 Si 0.5618 0.3553 0.9500
13 P 0.0631 0.2670 0.4662
14 P 0.2670 0.0631 0.9662
15 P 0.7696 0.8627 0.4678
16 P 0.8627 0.7696 0.9678
17 O 0.0182 0.3045 0.2948
18 O 0.0344 0.7503 0.9551
19 O 0.0909 0.2299 0.9641
20 O 0.1057 0.4241 0.6346
21 O 0.1900 0.5122 0.2638
22 O 0.2279 0.9128 0.9575
23 O 0.2299 0.0909 0.4641
24 O 0.2939 0.6118 0.6142
25 O 0.3045 0.0182 0.7948
26 O 0.3696 0.7405 0.4614
27 O 0.3898 0.5389 0.9529
28 O 0.4241 0.1057 0.1346
29 O 0.5122 0.1900 0.7638
30 O 0.5389 0.3898 0.4529
31 O 0.5855 0.8855 0.4603
32 O 0.6118 0.2939 0.1142
33 O 0.6974 0.8132 0.8027
34 O 0.7405 0.3696 0.9614
35 O 0.7503 0.0344 0.4551
36 O 0.8132 0.6974 0.3027
37 O 0.8330 0.9218 0.1395
38 O 0.8855 0.5855 0.9603
39 O 0.9128 0.2279 0.4575
40 O 0.9218 0.8330 0.6395

=====

(1)
Diffraction record for U2Al3Si3. The PXRD pattern is computed, not measured: it uses a structure optimized by DFT (GGA-PBE) and Cu Kα (λ = 1.5418 Å).
Peak positions follow from Bragg's law for the DFT cell and can differ from measured ones.

Main lines, in order of falling intensity (15° ≤ 2θ ≤ 90°):
d (Å)	2θ (°)	I (rel.)	hkl
2.391	37.6	100	1 1 2
4.270	20.8	46	0 1 0
4.163	21.3	42	1 0 0
2.981	30.0	37	1 1 0
4.006	22.2	37	0 0 2
2.921	30.6	35	0 1 2
2.887	31.0	35	1 0 2
2.135	42.3	18	0 2 0
2.082	43.5	17	2 0 0
1.716	53.4	16	1 2 2

Crystal structure
```
data_U2Al3Si3
_symmetry_space_group_name_H-M 'P m m m'
_symmetry_Int_Tables_number 47
_cell_length_a 4.1630
_cell_length_b 4.2700
_cell_length_c 8.0116
_cell_angle_alpha 90.00
_cell_angle_beta 90.00
_cell_angle_gamma 90.00
loop_
_symmetry_equiv_pos_as_xyz
'x,y,z'
'-x,-y,-z'
'-x,-y,z'
'x,y,-z'
'x,-y,-z'
'-x,y,z'
'-x,y,-z'
'x,-y,z'
loop_
_atom_site_label
_atom_site_fract_x
_atom_site_fract_y
_atom_site_fract_z
_atom_site_occupancy
U1 0.0000 0.0000 0.2396 1
Al1 0.0000 0.5000 0.5000 1
Al2 0.5000 0.5000 0.2491 1
Si1 0.0000 0.5000 0.0000 1
Si2 0.5000 0.0000 0.0000 1
Si3 0.5000 0.0000 0.5000 1
```

(2)
Diffraction record for U2Al3Si. The PXRD pattern is computed, not measured: it uses a structure optimized by DFT (GGA-PBE) and Cu Kα (λ = 1.5418 Å).
Peak positions follow from Bragg's law for the DFT cell and can differ from measured ones.

Main lines, in order of falling intensity (15° ≤ 2θ ≤ 90°):
d (Å)	2θ (°)	I (rel.)	hkl
2.289	39.4	100	1 1 3
4.381	20.3	85	1 0 1
2.681	33.4	76	1 1 0
2.693	33.3	76	1 0 4
2.298	39.2	34	0 1 5
1.461	63.7	34	1 2 5
1.550	59.7	30	2 1 4
4.408	20.1	29	0 0 3
1.900	47.9	17	0 2 4
1.557	59.3	15	0 1 8

Crystal structure
```
data_U2Al3Si
_symmetry_space_group_name_H-M 'R -3 m'
_symmetry_Int_Tables_number 166
_symmetry_space_group_name_Hall '-R 3 2"'
_cell_length_a 5.3611
_cell_length_b 5.3611
_cell_length_c 13.2233
_cell_angle_alpha 90.00
_cell_angle_beta 90.00
_cell_angle_gamma 120.00
loop_
_atom_site_label
_atom_site_fract_x
_atom_site_fract_y
_atom_site_fract_z
_atom_site_occupancy
U1 0.0000 0.0000 0.1248 1
Al1 0.0000 0.5000 0.0000 1
Si1 0.0000 0.0000 0.5000 1
```

(3)
Diffraction record for AlV12Si3. The PXRD pattern is computed, not measured: it uses a structure optimized by DFT (GGA-PBE) and Cu Kα (λ = 1.5418 Å).
-- stop --
• Work order:
Quote the lines earlier on up to the one that holds "0.9641", that line included.
• Done:
# Na3ZrScSiP2O12
Theoretical powder X-ray diffraction pattern, Cu Kα (weighted mean of Kα1 and Kα2). Input: the GGA-PBE geometry in the Materials Project.
Lines closer than 0.1° are merged.

Most intense lines, 2θ from 15° to 90°, sorted by position:
19.41 deg, 4.573 Å, I = 100
22.78 deg, 3.903 Å, I = 41
22.92 deg, 3.880 Å, I = 27
27.69 deg, 3.222 Å, I = 25
30.82 deg, 2.901 Å, I = 40
30.95 deg, 2.889 Å, I = 41
31.11 deg, 2.875 Å, I = 34
34.01 deg, 2.636 Å, I = 66

Atomic structure:
a = 9.1292 Å, b = 9.1292 Å, c = 9.0859 Å
α = 119.62°, β = 119.62°, γ = 60.08°
Element x y z (fractional)
1 Na 0.0682 0.9318 0.5000
2 Na 0.2133 0.4248 0.9708
3 Na 0.3432 0.7856 0.2023
4 Na 0.4248 0.2133 0.4708
5 Na 0.7856 0.3432 0.7023
6 Na 0.9318 0.0682 0.0000
7 Zr 0.4668 0.9516 0.6495
8 Zr 0.9516 0.4668 0.1495
9 Sc 0.1751 0.6623 0.7705
10 Sc 0.6623 0.1751 0.2705
11 Si 0.3553 0.5618 0.4500
12 Si 0.5618 0.3553 0.9500
13 P 0.0631 0.2670 0.4662
14 P 0.2670 0.0631 0.9662
15 P 0.7696 0.8627 0.4678
16 P 0.8627 0.7696 0.9678
17 O 0.0182 0.3045 0.2948
18 O 0.0344 0.7503 0.9551
19 O 0.0909 0.2299 0.9641